Find the line below that holds "C12 1.040", then quote that line and all lines after it there.

<<<
P:
Computed, not measured: a 2-piece molecular cluster, C10H16 overall, with ωB97M-V/def2-TZVPD.

Results
- HOMO-LUMO gap: 10.00 eV
- Highest occupied orbital energy: -0.33079 Eh
- SMILES string: Cc1ccccc1.CCC
- E_LUMO: 1.001 eV

Each atom is followed by the atoms it is bonded to, with distances in Å.
Atoms and positions in Å:
1 C 1.02 1.47 -0.65  C10 1.465, C19 1.371, C24 1.444
2 C -1.47 -2.79 1.55  H9 1.084, C11 1.613, H20 1.079, H23 1.078
3 H 0.17 -0.98 -2.90  C16 1.047
4 H 2.77 2.72 -0.31  C24 1.156
5 C -1.02 0.64 -2.43  C14 1.376, C16 1.411, H25 1.065
6 H -0.67 0.02 2.52  C12 1.088
7 H -0.32 3.05 -0.14  C19 1.088
8 H 0.64 -1.15 2.60  C12 1.040
9 H -0.90 -3.51 2.14  C2 1.084
10 C 1.17 0.23 -1.40  C1 1.465, C16 1.401, H21 1.038
11 C -0.60 -1.57 0.95  C2 1.613, C12 1.518, H15 1.150, H22 1.097
12 C 0.01 -0.62 1.97  H6 1.088, H8 1.040, C11 1.518, H13 1.142
13 H 0.53 0.10 1.25  C12 1.142
14 C -1.26 1.64 -1.52  C5 1.376, H18 1.008, C19 1.443
15 H -1.38 -1.09 0.25  C11 1.150
16 C 0.19 -0.08 -2.36  H3 1.047, C5 1.411, C10 1.401
17 H 2.99 1.12 0.25  C24 1.159
18 H -2.14 2.12 -1.42  C14 1.008
19 C -0.19 2.11 -0.67  C1 1.371, H7 1.088, C14 1.443
20 H -2.25 -2.50 2.24  C2 1.079
21 H 2.06 -0.29 -1.35  C10 1.038
22 H 0.19 -1.85 0.24  C11 1.097
23 H -1.76 -3.37 0.69  C2 1.078
24 C 2.12 1.89 0.19  C1 1.444, H4 1.156, H17 1.159, H26 1.126
25 H -1.93 0.42 -2.93  C5 1.065
26 H 2.03 2.26 1.25  C24 1.126

Charges computed using Löwdin, reported in e: -0.3401, -0.1042, 0.0821, 0.1048, -0.0917, 0.0736, 0.1127, 0.0468, 0.0486, -0.0296, -0.2941, -0.1115, 0.0572, -0.0683, 0.1113, -0.0733, 0.1021, 0.0598, -0.0355, 0.0573, 0.0829, 0.0840, 0.0500, -0.1111, 0.0931, 0.0932

Q:
Computed, not measured: a 2-piece molecular cluster, C10H16 overall, with ωB97M-V/def2-TZVPD.

Results
- HOMO-LUMO gap: 9.99 eV
- Highest occupied orbital energy: -0.33114 Eh
- SMILES string: Cc1ccccc1.CCC
- E_LUMO: 0.978 eV

Each atom is followed by the atoms it is bonded to, with distances in Å.
Atoms and positions in Å:
1 C -0.97 0.74 1.96  H20 1.070, C25 1.387, C26 1.402
2 C 0.68 -1.73 -1.54  C6 1.550, C16 1.523, H21 1.074, H23 1.111
3 H -3.29 0.42 0.42  C8 1.117
4 H 0.04 -2.87 0.31  C16 1.093
5 H -2.36 0.52 -1.11  C8 1.050
6 C 2.07 -1.41 -2.15  C2 1.550, H10 1.095, H11 1.093, H13 1.125
7 H 1.26 3.11 2.76  C24 1.060
8 C -2.30 0.30 -0.08  H3 1.117, H5 1.050, H22 1.093, C25 1.528
9 H 0.00 -3.86 -1.11  C16 1.112
10 H 2.59 -1.99 -2.91  C6 1.095
11 H 2.78 -1.29 -1.32  C6 1.093
12 H -0.94 2.34 -0.90  C14 1.082
13 H 1.86 -0.58 -2.88  C6 1.125
14 C -0.51 2.18 0.07  H12 1.082, C19 1.380, C25 1.411
15 H 0.52 4.02 0.45  C19 1.098
16 C 0.50 -2.97 -0.68  C2 1.523, H4 1.093, H9 1.112, H18 1.104
17 H 0.07 1.35 3.73  C26 1.086
18 H 1.50 -3.31 -0.35  C16 1.104
19 C 0.31 3.00 0.82  C14 1.380, H15 1.098, C24 1.391
20 H -1.65 0.09 2.47  C1 1.070
21 H 0.41 -0.85 -0.99  C2 1.074
22 H -1.97 -0.74 0.00  C8 1.093
23 H -0.08 -1.57 -2.34  C2 1.111
24 C 0.68 2.55 2.08  H7 1.060, C19 1.391, C26 1.394
25 C -1.20 1.08 0.64  C1 1.387, C8 1.528, C14 1.411
26 C 0.01 1.47 2.66  C1 1.402, H17 1.086, C24 1.394

Charges computed using Löwdin, reported in e: -0.0614, -0.3202, 0.0980, 0.0564, 0.0497, -0.1239, 0.0860, -0.0484, 0.0734, 0.0576, 0.0694, 0.1035, 0.0793, -0.0587, 0.1106, -0.1219, 0.0998, 0.0673, -0.0857, 0.1046, 0.0633, 0.0684, 0.1029, -0.0986, -0.2871, -0.0841

R:
Computed, not measured: a 2-piece molecular cluster, C10H16 overall, with ωB97M-V/def2-TZVPD.

Results
- HOMO-LUMO gap: 10.02 eV
- Highest occupied orbital energy: -0.33066 Eh
- SMILES string: Cc1ccccc1.CCC
- E_LUMO: 1.025 eV

Each atom is followed by the atoms it is bonded to, with distances in Å.
Atoms and positions in Å:
1 C 1.89 -1.58 -1.94  H8 1.092, H10 1.094, C22 1.518, H24 1.090
2 H -0.56 -1.37 -2.64  C13 1.085
3 H 2.56 0.78 -0.78  C21 1.081
4 H -1.45 -1.52 2.78  C19 1.091
5 H 1.06 2.68 -0.30  C6 1.081
6 C 0.66 1.80 -0.78  H5 1.081, C16 1.392, C21 1.402
7 H -1.31 2.58 -1.09  C16 1.085
8 H 1.61 -2.40 -1.28  C1 1.092
>>>

8 H 0.64 -1.15 2.60  C12 1.040
9 H -0.90 -3.51 2.14  C2 1.084
10 C 1.17 0.23 -1.40  C1 1.465, C16 1.401, H21 1.038
11 C -0.60 -1.57 0.95  C2 1.613, C12 1.518, H15 1.150, H22 1.097
12 C 0.01 -0.62 1.97  H6 1.088, H8 1.040, C11 1.518, H13 1.142
13 H 0.53 0.10 1.25  C12 1.142
14 C -1.26 1.64 -1.52  C5 1.376, H18 1.008, C19 1.443
15 H -1.38 -1.09 0.25  C11 1.150
16 C 0.19 -0.08 -2.36  H3 1.047, C5 1.411, C10 1.401
17 H 2.99 1.12 0.25  C24 1.159
18 H -2.14 2.12 -1.42  C14 1.008
19 C -0.19 2.11 -0.67  C1 1.371, H7 1.088, C14 1.443
20 H -2.25 -2.50 2.24  C2 1.079
21 H 2.06 -0.29 -1.35  C10 1.038
22 H 0.19 -1.85 0.24  C11 1.097
23 H -1.76 -3.37 0.69  C2 1.078
24 C 2.12 1.89 0.19  C1 1.444, H4 1.156, H17 1.159, H26 1.126
25 H -1.93 0.42 -2.93  C5 1.065
26 H 2.03 2.26 1.25  C24 1.126

Charges computed using Löwdin, reported in e: -0.3401, -0.1042, 0.0821, 0.1048, -0.0917, 0.0736, 0.1127, 0.0468, 0.0486, -0.0296, -0.2941, -0.1115, 0.0572, -0.0683, 0.1113, -0.0733, 0.1021, 0.0598, -0.0355, 0.0573, 0.0829, 0.0840, 0.0500, -0.1111, 0.0931, 0.0932

Q:
Computed, not measured: a 2-piece molecular cluster, C10H16 overall, with ωB97M-V/def2-TZVPD.

Results
- HOMO-LUMO gap: 9.99 eV
- Highest occupied orbital energy: -0.33114 Eh
- SMILES string: Cc1ccccc1.CCC
- E_LUMO: 0.978 eV

Each atom is followed by the atoms it is bonded to, with distances in Å.
Atoms and positions in Å:
1 C -0.97 0.74 1.96  H20 1.070, C25 1.387, C26 1.402
2 C 0.68 -1.73 -1.54  C6 1.550, C16 1.523, H21 1.074, H23 1.111
3 H -3.29 0.42 0.42  C8 1.117
4 H 0.04 -2.87 0.31  C16 1.093
5 H -2.36 0.52 -1.11  C8 1.050
6 C 2.07 -1.41 -2.15  C2 1.550, H10 1.095, H11 1.093, H13 1.125
7 H 1.26 3.11 2.76  C24 1.060
8 C -2.30 0.30 -0.08  H3 1.117, H5 1.050, H22 1.093, C25 1.528
9 H 0.00 -3.86 -1.11  C16 1.112
10 H 2.59 -1.99 -2.91  C6 1.095
11 H 2.78 -1.29 -1.32  C6 1.093
12 H -0.94 2.34 -0.90  C14 1.082
13 H 1.86 -0.58 -2.88  C6 1.125
14 C -0.51 2.18 0.07  H12 1.082, C19 1.380, C25 1.411
15 H 0.52 4.02 0.45  C19 1.098
16 C 0.50 -2.97 -0.68  C2 1.523, H4 1.093, H9 1.112, H18 1.104
17 H 0.07 1.35 3.73  C26 1.086
18 H 1.50 -3.31 -0.35  C16 1.104
19 C 0.31 3.00 0.82  C14 1.380, H15 1.098, C24 1.391
20 H -1.65 0.09 2.47  C1 1.070
21 H 0.41 -0.85 -0.99  C2 1.074
22 H -1.97 -0.74 0.00  C8 1.093
23 H -0.08 -1.57 -2.34  C2 1.111
24 C 0.68 2.55 2.08  H7 1.060, C19 1.391, C26 1.394
25 C -1.20 1.08 0.64  C1 1.387, C8 1.528, C14 1.411
26 C 0.01 1.47 2.66  C1 1.402, H17 1.086, C24 1.394

Charges computed using Löwdin, reported in e: -0.0614, -0.3202, 0.0980, 0.0564, 0.0497, -0.1239, 0.0860, -0.0484, 0.0734, 0.0576, 0.0694, 0.1035, 0.0793, -0.0587, 0.1106, -0.1219, 0.0998, 0.0673, -0.0857, 0.1046, 0.0633, 0.0684, 0.1029, -0.0986, -0.2871, -0.0841

R:
Computed, not measured: a 2-piece molecular cluster, C10H16 overall, with ωB97M-V/def2-TZVPD.

Results
- HOMO-LUMO gap: 10.02 eV
- Highest occupied orbital energy: -0.33066 Eh
- SMILES string: Cc1ccccc1.CCC
- E_LUMO: 1.025 eV

Each atom is followed by the atoms it is bonded to, with distances in Å.
Atoms and positions in Å:
1 C 1.89 -1.58 -1.94  H8 1.092, H10 1.094, C22 1.518, H24 1.090
2 H -0.56 -1.37 -2.64  C13 1.085
3 H 2.56 0.78 -0.78  C21 1.081
4 H -1.45 -1.52 2.78  C19 1.091
5 H 1.06 2.68 -0.30  C6 1.081
6 C 0.66 1.80 -0.78  H5 1.081, C16 1.392, C21 1.402
7 H -1.31 2.58 -1.09  C16 1.085
8 H 1.61 -2.40 -1.28  C1 1.092